# Job
Count the lines below that contain the word "Nd2" and give the number alone.

# Contents
********
Diffraction record for Mg3Si3Os2. The powder diffractogram is theoretical, not measured: it uses a PBE-relaxed structure and Cu Kα (weighted mean of Kα1 and Kα2).

Main lines, in order of rising 2θ (2θ from 10° to 90°):
| index | 2θ/deg | intensity |
| --- | --- | --- |
| 0 2 0 | 13.0 | 43 |
| 1 0 1 | 20.2 | 100 |
| 2 1 0 | 23.8 | 35 |
| 0 3 1 | 25.7 | 35 |
| 1 3 1 | 28.2 | 34 |
| 2 3 0 | 30.3 | 39 |
| 1 3 2 | 40.9 | 60 |
| 3 3 1 | 43.7 | 40 |

Crystal structure
a b c (Å): 7.7642 13.6578 5.3263
angles (deg): 90.00 90.00 90.00
Space group Pnma (No. 62)
Symmetry-distinct sites (fractional):
Mg1 0.0481 0.1118 0.0987 x8
Mg2 0.2216 0.2500 0.6205 x4
Si1 0.1216 0.7500 0.5936 x4
Si2 0.1919 0.0394 0.6456 x8
Os1 0.0928 0.5948 0.4092 x8



Diffraction record for Nd2Ge6Ru. The powder diffractogram is theoretical, not measured: it uses a PBE-relaxed structure and Cu Kα (weighted mean of Kα1 and Kα2).

Main lines, in order of rising 2θ (2θ from 10° to 90°):
| index | 2θ/deg | intensity |
| --- | --- | --- |
| 0 0 8 | 31.7 | 37 |
| 1 1 3 | 32.9 | 100 |
| 1 1 5 | 36.7 | 13 |
| 2 0 0 | 42.2 | 26 |
| 0 1 9 | 42.6 | 18 |
| 0 2 0 | 45.5 | 28 |
| 0 2 8 | 56.5 | 20 |
| 2 2 0 | 63.8 | 15 |

Crystal structure
a b c (Å): 4.2792 3.9913 22.5428
angles (deg): 90.00 90.00 90.00
Space group Amm2 (No. 38)
Symmetry-distinct sites (fractional):
Nd1 0.0000 0.0000 0.0000 x2
Nd2 0.0000 0.0000 0.3375 x2
Ge1 0.0000 0.0000 0.6189 x2
Ge2 0.0000 0.0000 0.7303 x2
Ge3 0.5000 0.0000 0.1247 x2
Ge4 0.5000 0.0000 0.2361 x2
Ge5 0.5000 0.0000 0.4518 x2
Ge6 0.5000 0.0000 0.8809 x2
Ru1 0.5000 0.0000 0.5619 x2
********

# Here it is
1